Posted By Gbaf News
Posted on August 7, 2018
By Fabrice Bouland, CEO, Alphametry
MiFID II is changing the face of investment research – and not just because of unbundling. We’re now over six months into the new regulation with many commentators decrying the ‘unintended consequences’ of bringing the research market to a grinding halt and sparking a price war which has all but crippled smaller, niche research houses.
/*
(1)
Entry from OMol25: a 2-piece molecular cluster, C6H13NO2 overall at a distorted geometry (the ωB97M-V functional and the def2-TZVPD basis).

Geometry as XYZ:
```
22
Properties=species:S:1:pos:R:3:forces:R:3
C -1.70531 -1.53027 -0.23850 1.10 -1.52 0.75
C -1.58386 -0.32734 0.67665 -2.45 2.44 -2.32
O -2.29193 -0.24635 1.67905 1.33 -0.08 0.02
C -1.65278 1.11700 -0.27410 0.19 -1.04 1.91
O -1.34188 1.08696 -1.65258 0.42 -0.50 -0.21
H -0.77556 -2.08875 -0.09017 -0.26 -0.30 -0.34
H -2.52530 -2.16713 0.09208 -0.01 0.11 0.20
H -1.84118 -1.38927 -1.30915 0.12 0.56 -0.01
H -2.69883 1.41163 -0.13564 0.14 -0.01 0.13
H -0.99772 1.85294 0.19767 -0.12 -0.01 -0.11
H -2.02990 0.60054 -2.11789 -0.03 0.09 0.08
C 0.69628 -0.23281 1.28266 -2.64 -0.34 0.40
C 1.44326 0.17823 0.18514 2.26 -1.51 -0.72
C 2.83978 0.66823 0.46687 -0.47 1.26 -0.16
N 1.27859 -0.28648 -1.08744 -0.33 1.19 0.95
H 0.36779 0.40849 2.09398 1.01 0.95 -0.10
H 1.06701 -1.10249 1.81362 -0.56 -1.03 -0.84
H 3.48439 -0.21423 0.51108 -0.17 0.00 -0.12
H 3.20465 1.35546 -0.29727 0.34 0.11 0.10
H 2.83718 1.09953 1.46915 0.19 0.20 -0.26
H 1.88313 0.09451 -1.80168 0.49 -0.10 0.25
H 0.34221 -0.28840 -1.46354 -0.55 -0.47 0.41
```
Forces are in eV/Å.

Computed properties:
**Lowest unoccupied orbital energy**: -0.30 eV
**Multiplicity**: 1
**Maximum force**: 4.2 eV Å⁻¹
**SMILES string**: CC(=O)CO.C=C(C)N
**ΔE to the lowest compared entry with this formula, charge and spin**: 5.368 eV
**Orbital gap**: 6.75 eV

Atom charges from the natural (NBO) analysis, given in e for atoms 1 to 4: atom 1 (C): -0.75, atom 2 (C): 0.56, atom 3 (O): -0.65, atom 4 (C): -0.17

(2)
Entry from OMol25: C10H24F30Li2N5O32S10 as an isolated structure at a distorted geometry (the ωB97M-V functional and the def2-TZVPD basis).

Geometry as XYZ:
```
113
Properties=species:S:1:pos:R:3:forces:R:3
Li -3.39551 -2.20486 -2.99747 1.44 -0.41 0.42
Li 0.86016 -1.43723 -0.88899 0.10 0.99 0.80
C 2.12872 -4.75348 -0.84462 0.97 0.96 -4.15
F 2.24791 -3.80075 0.02020 0.00 0.82 0.97
F 3.31799 -4.99254 -1.44707 -0.59 0.35 0.56
F 1.74006 -5.84603 -0.31663 -1.09 -2.02 1.43
S 0.87447 -4.27079 -2.28489 -0.32 -0.17 0.06
O 1.12583 -5.12927 -3.44786 0.29 1.53 2.06
O -0.44207 -4.47083 -1.71528 0.73 0.36 0.68
N 1.16889 -2.53803 -2.40394 -1.03 -3.86 -0.26
S 1.95954 -2.52364 -3.77941 1.68 1.27 -3.20
O 3.27681 -3.15456 -3.62112 -1.86 0.71 -0.82
O 1.06014 -2.83133 -4.92819 1.96 0.77 1.94
C 2.38809 -0.63177 -3.98212 -0.69 -1.38 1.93
F 1.26967 0.11020 -3.91178 0.38 -0.16 0.26
F 3.27061 -0.29065 -3.03373 -0.86 0.06 -0.50
F 2.92308 -0.46664 -5.14334 0.64 0.14 -1.45
C 6.10345 0.22449 2.01840 0.60 -0.32 -2.34
F 4.97232 0.49892 1.29888 1.52 0.23 1.38
F 6.53577 1.23097 2.77898 -1.18 -0.54 -0.04
F 5.81502 -0.87592 2.75751 0.54 1.02 -0.26
S 7.65414 -0.08746 0.74301 0.85 -0.66 -0.70
O 8.85407 0.34339 1.45653 -1.60 -0.14 -0.31
O 7.56650 -1.52602 0.40631 0.09 2.46 0.85
N 7.50022 0.98694 -0.61314 -0.74 -2.45 2.07
S 6.83671 0.04813 -1.74107 -3.31 -1.30 -0.41
*/
The new legislation has been effective in highlighting age old problems asset managers have always had with their research; forcing them to ask questions about what research they need, how much they should be paying for it and how they measure its value. At the same time, it has also sparked a race for innovation around how managers use technology to find and evaluate research, as well as what type of research they need. It’s clear that new consumption patterns are emerging, as well as demands for new and alternative data such as credit card activity, web traffic, news and social media influence which are set to revolutionise the investment research market.
In truth, MiFID II has put active management at a historic turning point. Investment technologies now have a chance to thrive and MiFID II can claim some credit for creating this opportunity to innovate.
The new world
We are, of course, still some way off ‘MiFID II nirvana’, where asset managers can access their research from the whole market via aggregation platforms, alongside AI capabilities which extract and display relevant insights for each portfolio manager. Variety of delivery methods from traditional reports to social media data are increasingly numerous and unstructured. In our present situation, many have questioned whether MiFID II has delivered much value at all to the end user. Active managers have experienced quality evaporation in sell-side research content, as well as a minimum service attitude from their brokers. More fundamentally, a growing number are challenging their very offering such as “useless” quarterly earnings forecasts. Plummeting sell-side pricing has pushed back the much needed debate on research deliverables and with many firms simply struggling to ensure compliance, questions about quality and delivery have fallen by the wayside.
Someone pasted calculated molecules at this point:
____________
[1]
Here is a structure of composition C21H30AsN2O4RuS2 from OMol25. Energies are from wB97M-V/def2-TZVPD.

Structure (ORCA input):
```
! wB97M-V def2-TZVPD RIJCOSX def2/J DEFGRID3
* xyz 1 5
Ru 1.016 1.189 -0.400
C 2.773 2.811 -2.138
N 1.562 3.067 -1.307
C 1.888 4.178 -0.382
C 0.390 3.404 -2.169
C -0.031 2.151 -2.881
C -0.623 2.158 -4.135
C -0.908 0.955 -4.768
C -0.573 -0.253 -4.166
C 0.014 -0.267 -2.911
C 0.252 0.932 -2.249
H 3.092 3.750 -2.594
H 2.548 2.085 -2.915
H 3.564 2.435 -1.492
H 2.205 5.042 -0.971
H 2.692 3.862 0.278
H 1.012 4.443 0.205
H 0.665 4.208 -2.859
H -0.397 3.771 -1.507
H -0.841 3.097 -4.629
H -1.364 0.960 -5.748
H -0.766 -1.184 -4.681
H 0.286 -1.205 -2.447
C 0.072 -7.233 0.244
C -0.004 -5.740 0.395
C -0.142 -4.914 -0.720
C -0.224 -3.541 -0.583
C -0.173 -2.984 0.689
C -0.037 -3.784 1.818
C 0.044 -5.157 1.658
S -0.222 -1.249 0.882
O -1.199 -0.666 -0.006
O -0.324 -0.980 2.292
N 1.199 -0.675 0.293
C 2.419 -0.971 1.046
C 3.147 0.323 1.378
O 4.059 0.358 2.151
O 2.699 1.373 0.692
H 0.253 -7.521 -0.789
H -0.863 -7.695 0.563
H 0.868 -7.647 0.863
H -0.191 -5.356 -1.707
H -0.360 -2.910 -1.450
H 0.000 -3.333 2.799
H 0.147 -5.788 2.533
H 3.099 -1.572 0.438
H 2.209 -1.510 1.968
C -3.309 0.658 1.841
As -2.043 1.950 2.472
C -1.539 1.525 4.269
C -3.042 3.579 2.620
S -0.349 2.531 1.290
H -4.239 0.884 2.364
H -2.965 -0.341 2.076
H -3.433 0.765 0.767
H -2.428 1.612 4.894
H -0.788 2.249 4.581
H -1.131 0.525 4.310
H -3.848 3.442 3.339
H -3.450 3.835 1.644
H -2.372 4.367 2.954
*
```

Expectation value of S²: 6.026
ΔE to the lowest compared entry with this formula, charge and spin in kcal/mol: 0.0
Maximum force in eV Å⁻¹: 0.67
E_tot in eV: -118517.8099
LUMO (alpha / beta) in eV: -2.68 / -5.03



[2]
Here is a structure of composition C25H20Cl2N5PdS2 from OMol25. Energies are from wB97M-V/def2-TZVPD.

Structure (ORCA input):
```
! wB97M-V def2-TZVPD RIJCOSX def2/J DEFGRID3
* xyz 3 5
Pd -0.091 0.023 0.248
C 4.278 -0.771 0.845
C 4.317 -1.331 2.112
C 3.148 -1.428 2.850
C 1.961 -0.954 2.311
N 1.935 -0.422 1.079
C 3.058 -0.335 0.362
C 0.666 -1.019 3.035
C 0.578 -1.305 4.388
C -0.670 -1.380 4.989
C -1.805 -1.168 4.225
C -1.645 -0.862 2.886
N -0.443 -0.786 2.312
H 5.170 -0.670 0.244
H 5.250 -1.693 2.525
H 3.163 -1.878 3.832
H 2.976 0.110 -0.621
H 1.469 -1.458 4.978
H -0.750 -1.602 6.045
H -2.796 -1.229 4.652
H -2.502 -0.675 2.252
Cl -0.054 2.335 1.474
C -1.589 3.110 1.219
C -1.764 4.363 1.723
C -3.013 4.989 1.573
C -4.060 4.359 0.925
C -3.884 3.092 0.399
Cl -5.181 2.338 -0.398
C -2.624 2.415 0.524
S -2.454 0.871 -0.148
H -0.961 4.870 2.242
H -3.157 5.980 1.982
H -5.022 4.843 0.824
C 0.379 -4.858 -2.229
N 0.440 -3.517 -2.833
C 0.820 -3.285 -4.103
C 0.765 -1.927 -4.313
N 0.354 -1.344 -3.158
C 0.156 -2.328 -2.218
S -0.406 -2.220 -0.644
C 0.181 0.085 -3.050
C -0.322 0.756 -4.145
C -0.332 2.144 -4.114
C 0.185 2.788 -3.005
C 0.623 2.020 -1.939
N 0.599 0.678 -1.936
H -0.230 -5.501 -2.860
H -0.061 -4.798 -1.241
H 1.385 -5.267 -2.159
H 1.109 -4.077 -4.777
____________
Here the article continues:
Research interactions consumption is also changing rapidly. Portfolio managers, through fear of potentially hefty prices being charged by brokers, have stopped calling their analysts three times a day. Some have even stopped attending corporate events, to the great surprise of large cap issuers which never anticipated to see their biggest shareholders’ seats empty.
A further round of research provider rationalisation is widely anticipated. Asset managers are already planning to keep a maximum of one or two providers for their basic needs per country or industry. Banks offerings are likely to be more focused in terms of geography and product and part of the sell-side is already seeking partnerships in fear of consolidation. It is the inevitable cost of progress some might say – but it needs to be combined with greater investment in innovation so that manager are getting the information they need. In the current market with access being cut and lower research quality, MiFID II has created a worse market for investors in contrary to its original objective.
## These molecular data were left in the entry by mistake
<<<
# 1
The following is a DFT calculation (ωB97M-V/def2-TZVPD) of a molecular structure, C20H13Cl2N2O10Ru.

The calculation puts the HOMO energy (alpha / beta) at -0.3253 / -0.3199 hartree. Its spin multiplicity is 2. As for the lowest unoccupied orbital energy (alpha / beta): -0.9985 / -1.0590 eV. Its molar mass is 613.3 g mol⁻¹.

Last column: Mulliken charge in e.
Cartesian coordinates (Å):
1 Ru -0.67651 0.56858 -0.17198  0.519
2 O -3.88401 1.03398 2.09270  -0.576
3 C -2.70370 1.19266 1.38848  1.029
4 O -2.32963 0.06837 0.77004  -0.704
5 C -2.87668 2.36960 0.40246  -0.891
6 O -2.03051 2.20422 -0.77251  -0.558
7 C -1.12514 3.30501 -0.97698  -0.343
8 C 0.03163 3.28352 0.02279  0.641
9 O 0.68225 4.28350 0.20737  -0.681
10 O 0.23349 2.13241 0.61217  -0.496
11 H -4.01219 0.08237 2.19773  0.378
12 H -2.64977 3.31795 0.88766  0.388
13 H -3.90703 2.35700 0.05669  0.376
14 H -1.65819 4.25201 -0.91025  0.381
15 H -0.72381 3.18578 -1.98234  0.297
16 O -1.25302 -1.13299 -1.23303  -0.507
17 C -0.66182 -1.66002 -2.18163  -0.262
18 C 0.52088 -1.20294 -2.84259  0.979
19 C 1.02116 -2.01264 -3.87784  -0.463
20 C 2.12062 -1.62006 -4.58128  -0.467
21 C 2.76287 -0.39853 -4.30370  -0.451
22 C 2.29054 0.40896 -3.31358  -0.844
23 C 1.15443 0.04220 -2.53277  0.229
24 O 0.76741 0.84031 -1.61079  -0.228
25 N 2.63496 -2.47816 -5.64547  1.010
26 O 3.61003 -2.08926 -6.25852  -0.626
27 O 2.05820 -3.52830 -5.85743  -0.626
28 H -1.10134 -2.58651 -2.57189  0.382
29 H 0.53751 -2.94926 -4.12271  0.520
30 H 3.62781 -0.11976 -4.88831  0.510
31 H 2.76482 1.35251 -3.08121  0.503
32 Cl -2.40014 1.74865 5.02456  -0.185
33 C -1.29953 0.59034 4.38024  1.057
34 C -0.69051 -0.27657 5.30257  -0.518
35 C 0.21615 -1.17904 4.86165  0.552
36 Cl 0.96595 -2.23441 6.01508  -0.249
37 C 0.56170 -1.26015 3.48636  0.164
38 C 1.54360 -2.17274 3.04643  -0.587
39 C 1.89522 -2.22816 1.73421  -1.277
40 C 1.23092 -1.37958 0.84738  0.093
41 N 0.29684 -0.53239 1.21681  0.535
42 C -0.07040 -0.39794 2.54565  0.285
43 C -1.03819 0.57291 3.02825  -0.847
44 O -1.62722 1.56405 2.30708  -0.185
45 H -0.94561 -0.20531 6.34938  0.506
46 H 2.01667 -2.81617 3.77340  0.426
47 H 2.65429 -2.90356 1.36882  0.463
48 H 1.46501 -1.39245 -0.20913  0.346

---

# 2
The following is a DFT calculation (ωB97M-V/def2-TZVPD) of 2 unconnected molecules or ions with the total composition C14H16 in a non-equilibrium geometry.

Its SMILES is Cc1ccccc1.Cc1ccccc1. The calculation puts the HOMO energy at -0.3178 hartree. Its spin multiplicity is 1. As for the lowest unoccupied orbital energy: 0.9003 eV. Its molar mass is 184.3 g mol⁻¹.

Last column: Mulliken charge in e.
Cartesian coordinates (Å):
1 C 1.37683 -1.98957 3.42969  -1.351
2 C 1.38286 0.30138 2.39906  -0.402
3 C 0.68320 -0.86284 2.70645  0.656
4 C 0.81008 1.55948 2.50690  -0.457
5 C -0.55791 1.60959 2.77302  -0.484
6 C -0.72039 -0.80738 2.65808  -0.500
7 C -1.31096 0.44982 2.69245  -0.402
8 H 2.40039 0.18945 2.02154  0.355
9 H 1.30717 2.51341 2.57918  0.403
>>>
## The molecular data stop here
New approaches to research
Regulation is forcing active managers to value their historical research franchise and this cost-benefits review has shone a light on emerging competing research products. Surprisingly, investment research has barely evolved over the last 40 years, whereas the world of investible assets has changed dramatically. Factors affecting a company valuation go way beyond the simple analysis of its financials or strategy. The digitization of people and business activity is generating a new type of valuable data. A type of data not only relying on lower latency to gain a competitive edge, but also carrying new and deeper insights when exploited in the intelligent framework of investment decision-making.
The rise of alternative datasets is one of the first manifestation of how research is about to change. A research mostly data-driven and no longer delivered as non-machine readable reports. According to a recent report by Thomson Reuter and Greenwich Associates cited in the FT, which surveyed around 30 chief investment officers, analysts and fund managers, around half think that investors will decrease their reliance on research from investment banks, and that the use of alternative data sets will increase. So although MiFID II didn’t trigger the immediate transformation some of us might have hoped for, there is hope on the horizon. The new rules have forced asset managers to look outside their traditional research parameters and sell-side will have to evolve to survive. Barry Hurewitz, global chief operating officer of UBS Group Research and its newly created Evidence Lab summarizes it clearly: “To think that an analyst with Excel, two associates, and a CFA is going to be able cope with all that data, that’s not realistic.”
As sell-side firms continue to adapt and cater for new demands, its products may no longer be exclusively research reports but also the technology layer which is able to extract intelligence from them automatically, quickly and at scale.
The buy-side has always heavily relied on the sell-side when it comes to technology whether in execution, custodian or compliance services. Yet, research information being at the heart of active managers’ core proposition, today’s rapid innovation leaves them stuck in a critical technological gap. Up to now, emails, shared drives and spreadsheets have served as a way of managing and organising traditional research reports – but these systems are unlikely to create the investment winners of the future. Capturing and processing more and more sophisticated and voluminous information, including alternative data, will require a different approach. This is probably why AXA Investment Managers recently announced it would be cutting over 200 jobs and ploughing some of the savings into more advanced data collection and analytics.
So while MiFID II’s research unbundling regulation has initially appeared to create a worse market for research, with many highlighting the ‘unintended consequences’ of plummeting prices and boutique providers being side-lined in favour of larger providers, the long-term view might paint a different picture. Here at Alphametry, we believe that progress in investment technologies is about to experience a quantum leap forward. The expected deluge of data coming their ways will unleash an unprecedented potential.